Nameless Island, in the northeast, in a depression basin, there are about 70 or 80 families, not many, scattered in low-lying terrain.

Mr.5 and Valentine's day climbing to find a suitable observation point, we can see the fire still on in the rainstorm, which is difficult to extinguish for a time.

At first, they thought that there was a fire in the village, but after observing for a while, they didn't see half a person. So they came closer and saw a whole village that had been slaughtered.

Old people, children, men and women... None of them survived. The earth was dyed red by blood, the house was lit, and the blood flowed everywhere with the rain.

After mr.5 observation, it was found that these people had just died, and had obvious knife and gunshot wounds on their bodies. It was obvious that they were slaughtered by some robbers, and the muzzle sizes were different, indicating that they were not standard weapons.

In other words, there may be other dangerous teams on this island. Judging from such means and weapons, they should be pirates. Mr.5 doesn't have much pity on them, but he thinks it's necessary to inform the boss about this.

"No one is alive!" Valentine's Day floats a little bit, in order to see more clearly.

But she didn't look very good. She did kill many people, but she never took part in such a terrible massacre. She also resented these pirates who even children and old people would not let go.

After careful searching several times, there was no one who survived.

Soon, Rosen and urki found two people along the route given by Mr. 5, and also found the village.

**Attached: molecular data:**
........
No. 1
Molecular formula: C4H11N3O2
Method: DFT, the ωB97M-V functional and the def2-TZVPD basis

Last column: Löwdin charge in e.
Atoms and positions in Å:
C (-0.68, -1.63, 1.15)  -0.020
C (-0.06, -1.43, -1.30)  -0.025
C (0.05, -0.81, 0.10)  -0.639
O (1.35, -0.47, 0.43)  -0.083
H (-1.10, -1.59, -1.60)  0.075
H (-0.23, -2.62, 1.21)  0.081
H (-1.74, -1.74, 0.91)  0.078
H (-0.58, -1.15, 2.13)  0.075
H (0.45, -2.39, -1.27)  0.085
H (0.45, -0.80, -2.02)  0.082
C (0.77, 1.27, 0.14)  -0.480
N (-1.43, 1.16, -0.80)  0.075
N (1.17, 1.87, 1.31)  0.162
O (1.17, 1.88, -0.99)  0.118
N (-0.47, 0.63, 0.09)  -0.085
H (1.49, 2.78, -0.80)  0.127
H (-1.34, 0.75, -1.72)  0.073
H (-2.35, 0.95, -0.43)  0.084
H (2.17, 2.05, 1.35)  0.110
H (0.90, 1.30, 2.10)  0.107

Results
Max |F| ... 1.78 eV/A
HOMO ... -8.692 eV
Orbital gap ... 0.3452 Eh
Calculated total energy ... -12889.776 eV


No. 2
Molecular formula: C44H60N4O7P3Rb
Method: DFT, the ωB97M-V functional and the def2-TZVPD basis

Last column: Löwdin charge in e.
Atoms and positions in Å:
Rb (-0.64, 0.26, 0.04)  0.869
N (3.58, -0.91, 1.26)  0.091
C (4.55, 0.04, 0.99)  -0.325
C (5.84, -0.15, 1.50)  -0.048
C (6.83, 0.79, 1.30)  -0.097
C (6.56, 1.95, 0.58)  -0.097
C (5.29, 2.14, 0.07)  -0.098
C (4.27, 1.21, 0.25)  -0.308
P (2.59, 1.43, -0.48)  1.090
C (3.04, 1.38, -2.26)  -0.350
C (2.78, 0.18, -2.92)  -0.106
C (3.14, 0.01, -4.25)  -0.083
C (3.76, 1.05, -4.94)  -0.094
C (4.03, 2.24, -4.28)  -0.085
C (3.68, 2.40, -2.95)  -0.092
C (2.35, 3.20, -0.08)  -0.367
C (2.74, 3.63, 1.19)  -0.118
C (2.59, 4.96, 1.57)  -0.102
C (2.05, 5.88, 0.68)  -0.089
C (1.64, 5.45, -0.58)  -0.081
C (1.76, 4.12, -0.95)  -0.084
H (3.92, -1.84, 1.43)  0.092
H (2.76, -0.89, 0.67)  0.025
H (6.05, -1.05, 2.07)  0.105
H (7.82, 0.62, 1.71)  0.100
H (7.33, 2.70, 0.43)  0.097
H (5.07, 3.04, -0.49)  0.102
H (2.27, -0.62, -2.40)  0.097
H (2.92, -0.92, -4.76)  0.103
H (4.03, 0.92, -5.98)  0.099
H (4.52, 3.05, -4.81)  0.101
H (3.90, 3.34, -2.46)  0.097
H (3.21, 2.93, 1.88)  0.104
H (2.91, 5.28, 2.55)  0.100
H (1.96, 6.92, 0.96)  0.099
H (1.23, 6.16, -1.28)  0.096
H (1.37, 3.77, -1.89)  0.093
N (-0.11, 2.31, -4.28)  0.101
C (-0.41, 1.43, -3.14)  -0.753
O (0.03, 1.91, -1.98)  -0.364
C (-1.73, 0.68, -3.27)  -0.102
C (-0.42, -0.08, -3.43)  -0.131
H (0.90, 2.39, -4.35)  0.055
H (-0.44, 1.90, -5.15)  0.061
H (-2.34, 0.84, -4.16)  0.092
H (-2.31, 0.55, -2.36)  0.066
H (-0.16, -0.44, -4.42)  0.092
H (-0.12, -0.75, -2.63)  0.039
C (0.61, -2.36, 4.06)  -0.049
C (-0.05, -3.56, 3.93)  -0.057
C (-0.39, -4.00, 2.66)  -0.016
C (-0.05, -3.22, 1.56)  -0.227
N (0.61, -2.06, 1.68)  0.084
C (0.92, -1.65, 2.91)  -0.157
C (-0.44, -3.65, 0.19)  -0.226
C (-0.36, -4.99, -0.18)  -0.019
C (-0.78, -5.36, -1.45)  -0.059
C (-1.28, -4.39, -2.30)  -0.049
C (-1.32, -3.08, -1.84)  -0.123
N (-0.90, -2.71, -0.63)  0.080
H (0.89, -1.96, 5.03)  0.106
H (-0.32, -4.15, 4.80)  0.108
H (-0.94, -4.92, 2.52)  0.112
H (1.44, -0.70, 2.98)  0.103
H (0.04, -5.72, 0.51)  0.112
H (-0.72, -6.39, -1.77)  0.109
........

Such a tragic sign made Rosen extremely uncomfortable, especially when he saw the body of an old man and a child.

But he knows that in this sea, real pirates do these things.

Burning, killing and plundering are inhuman.

Wuerji saw this, but also full of sadness, hands together, sitting on the ground, over the dead people, after a long time to speak: "this I have responsibility."

As soon as he said this, Rosen immediately frowned and looked at urki: "did your people do it?"

His voice is as cold as ice. He almost forgot that ur is basically a pirate now.

"No, my subordinates, that's all that's left. The storm has taken away too much of my things. However, this island should be an isolated island at present. There are no ships, there is not much communication with the outside world, and there is a great possibility of isolation. It is not easy for these things to happen, but unfortunately, before I came to this island, One of my subordinates accidentally leaked the location of the map... I think it should be caused by those pirates. "

Urki sank.

[Data records, kept here for reference]
/*
Here is a molecular structure, C26H48Cl3EuN5O3PSi in a non-equilibrium geometry from the Open Molecules 2025 dataset. Energies are from ωB97M-V/def2-TZVPD.

For the HOMO energy (spin up / spin down), the calculation gives -4.428 / -3.992 eV. For the strongest force on any atom, the calculation gives 0.102 Eh/bohr. As for the LUMO energy (spin up / spin down): 0.186 / 0.184 eV. As for the frontier orbital gap (spin up / spin down): 4.61 / 4.18 eV. As for the multiplicity: 7. The calculated total energy comes out at -4240.749651 a.u. The expectation value of S² is 12.06.

The geometry in XYZ format:
```
88
Properties=species:S:1:pos:R:3:forces:R:3
H 0.989 -1.939 2.684 -0.197 0.188 0.235
Cl 3.181 1.625 -2.644 0.037 -0.174 -1.502
H 2.605 -1.011 4.267 -0.280 0.133 0.295
H 3.936 -4.318 -0.003 -0.010 0.024 -0.073
H 2.445 0.646 2.592 -0.375 0.166 0.302
H -1.489 -1.174 5.273 0.325 0.122 0.124
C 1.814 -0.570 4.896 -0.828 0.612 -0.077
H 2.589 -1.606 -2.617 0.455 -0.007 0.246
H 0.831 1.396 6.430 -0.065 0.098 -0.455
H 1.952 5.706 2.086 -0.072 -0.166 0.285
C -0.534 -0.660 5.464 0.447 0.743 -0.490
H -1.104 6.001 3.544 -0.116 -0.213 -0.175
H -0.358 -4.011 -5.727 -0.400 -0.146 0.429
H -0.735 3.751 -3.335 -0.002 -0.313 0.032
C -1.356 -3.508 -3.841 -0.306 0.646 0.069
Cl 4.676 3.276 0.226 0.416 0.284 0.465
H -3.130 2.806 -1.656 -0.026 -0.252 -0.221
H 4.057 -0.748 -2.068 -0.263 -0.489 0.054
H -1.917 2.663 -5.498 -0.031 -0.153 0.270
H -3.569 -1.580 -0.697 0.379 -0.302 0.158
C -2.034 -1.669 -5.364 0.341 -0.321 -0.167
C -1.968 -1.315 -2.804 0.000 0.389 -0.200
C 0.201 -1.417 3.250 0.121 0.940 1.038
H -0.269 2.859 -1.868 0.188 0.056 -0.079
H -2.715 1.102 -5.616 0.042 -0.014 -0.134
H -2.195 0.442 3.667 0.418 0.272 0.014
C -1.056 -4.436 -4.978 0.179 -0.428 -0.180
C -0.293 -2.400 -1.227 -0.226 -0.133 -0.005
C -1.243 0.994 3.786 0.922 -0.414 0.528
C -2.352 -2.807 0.636 0.372 -0.252 0.230
C -2.594 -2.046 -0.505 0.403 -0.447 -0.263
H 1.804 4.420 3.327 -0.027 0.321 -0.187
H 4.193 -2.380 -2.827 -0.132 0.339 0.059
H 0.483 -2.207 -1.983 -0.370 -0.186 0.468
H -0.931 -4.080 1.675 -0.063 0.258 -0.264
C -1.179 5.576 2.539 -0.236 -0.041 -0.205
C 3.548 -3.916 -0.940 -0.065 0.174 0.191
H 0.467 2.544 5.087 0.120 -0.273 0.065
H 4.201 -4.227 -1.758 -0.038 0.074 0.200
H 2.071 -0.662 5.965 -0.008 0.005 -0.434
H 3.058 -2.526 1.116 0.144 0.275 -0.157
H -3.064 -1.170 -2.793 0.198 0.355 0.131
H -1.982 -4.724 -5.503 0.315 -0.066 0.063
C 1.597 1.114 3.132 -0.690 -0.405 0.703
C -0.056 -3.164 -0.085 -0.238 -0.242 0.025
H -2.942 -1.052 -5.350 0.253 -0.163 0.010
Cl -0.459 0.601 0.656 -1.155 1.153 -5.001
Si -1.807 1.454 -3.270 1.556 1.505 -0.275
C -1.878 1.622 -5.149 -0.650 0.121 -0.264
C 3.187 -1.834 0.263 -0.078 1.297 -0.579
C -1.591 -1.940 -1.473 -0.253 0.618 -0.056
N 1.710 0.887 4.582 0.464 0.000 0.814
C -0.438 2.765 -2.947 -0.291 -0.895 0.214
H -3.144 -2.959 1.371 0.200 0.026 -0.158
H -0.744 -1.966 3.112 0.303 0.221 0.058
H 1.572 2.190 2.889 0.014 -0.417 0.131
*/

"Is it a treasure map?" Robin asked in surprise. Her brain is quick. If it's not for treasure map, it's hard to attract greedy pirates.

"Yes, it looks like they got to the island a little earlier than us." Urki nodded.

"Monk Zheng." The subordinates were a little puzzled, why urki would tell this unfamiliar person about the treasure map.

But the subordinate who is closest to urki knows that the monk is filled with grief and remorse at this moment, even though the subordinate who accidentally leaked the treasure map has been buried in the storm.

But it doesn't mean that urki's mood can be completely calmed down.

"Money and silk move people's hearts, sunflower in the desert." Rosen sighed, put his hand on the ground and urged his ability.

But what had happened, he couldn't change anything. The ground sank into a big block and buried all the bodies and houses, so as not to be eaten by animals.

"This island is not small. These pirates should still search the island. Do you mind if we study the treasure map together?" Rosen looked at urji. If urji didn't tell the truth, he didn't mind eating black.

After all, he has done a lot of such things in recent years, but on the whole, urki, Rosen doesn't hate it.

Rosen wants to see what kind of treasure map can make the pirates so crazy to do the butchering of the village.

"No problem. These things shouldn't have happened, and I'm so greedy. This is a treasure map that has been handed down on our empty island for nearly a thousand years. It only indicates that the treasure is on this island. More detailed information is gone, and it's not very useful now." Urki has seen too many deaths today to remain optimistic.

Then he took out an old map and handed it to Rosen. Rosen took it over, looked at it, didn't understand it, and handed it to Robin: "you see if there is any other information recorded on it."

Robin nodded and took the map. After observing it carefully for a moment, she didn't see any more detailed and useful information, but she suggested that she take some time to study it.

Rosen did not answer, but urki agreed: "take it. Here, the map is useless. I'll go to seek justice for these people."

Wuerji said, and without waiting for Rosen to reply, he took the rest of his men and disappeared in the rainy night. It's just that the island is so big that it's not easy to find a group of people. In addition, it's a storm, and the footprints are covered up.

Seeing that wuerji gave his treasure map to him so easily, Rosen was not used to it: "if you find any treasure, half of it belongs to you."

He intended to just look at it, but he didn't expect that urji would not want it. This is very rare. After all, the scene of crazy fighting for treasure map is normal. Doesn't urji value wealth? It's possible.

Of course, it may also be because he thinks that the map is really useless, and the strength of qiwuhai is too strong. If there is a conflict because of a map that is not very useful, it is not worth it.

Maybe they will be like those villagers. Although at present, qiwuhai is not like this, but people are separated from each other. Who can tell.

Whether it is or not, urki can timely learn to let go, I have to say that this makes Rosen look at with new eyes.

"Strange people." Robin looked at urki's back and said with emotion that if she remembered correctly, this man was a pirate or a wanted criminal, but he planned to look for the murderer at this moment.

Data records that have nothing to do with the page:
'''
[1]
# C48H44BiN5OPS

C48H44BiN5OPS as an isolated structure (ωB97M-V with the def2-TZVPD basis set, the OMol25 dataset).

Positions of all 101 atoms, in Å:
Bi  0.04  -0.69  -0.97
C  2.39  -1.57  -3.36
N  1.72  -0.32  -2.97
C  2.64  0.60  -2.28
C  3.18  0.05  -0.99
C  4.49  0.26  -0.60
C  4.92  -0.20  0.64
C  4.02  -0.86  1.47
C  2.72  -1.03  1.01
N  2.32  -0.60  -0.19
C  1.09  0.37  -4.12
C  -0.14  1.21  -3.85
C  -0.49  2.21  -4.74
C  -1.67  2.91  -4.56
C  -2.48  2.59  -3.48
C  -2.08  1.57  -2.64
N  -0.94  0.89  -2.83
C  1.90  -2.83  -2.68
C  2.53  -4.03  -3.01
C  2.07  -5.22  -2.47
C  0.97  -5.18  -1.62
C  0.41  -3.96  -1.32
N  0.87  -2.80  -1.83
H  2.28  -1.74  -4.43
H  3.47  -1.48  -3.19
H  3.47  0.88  -2.94
H  2.09  1.51  -2.05
H  5.19  0.77  -1.25
H  5.94  -0.05  0.96
H  4.31  -1.23  2.44
H  1.98  -1.54  1.62
H  1.83  1.01  -4.62
H  0.78  -0.39  -4.85
H  0.15  2.43  -5.59
H  -1.96  3.68  -5.26
H  -3.42  3.10  -3.30
H  -2.69  1.26  -1.79
H  3.37  -4.03  -3.69
H  2.54  -6.16  -2.72
H  0.56  -6.09  -1.19
H  -0.46  -3.89  -0.67
N  -2.10  -1.91  -1.72
C  -3.02  -2.48  -0.75
C  -4.23  -2.98  -1.20
C  -5.14  -3.54  -0.31
C  -4.83  -3.59  1.05
C  -3.62  -3.09  1.50
C  -2.70  -2.53  0.61
P  -1.13  -1.83  1.28
C  -1.70  -0.40  2.24
C  -2.88  0.26  1.90
C  -3.28  1.38  2.63
C  -2.50  1.83  3.69
C  -1.32  1.18  4.01
C  -0.91  0.07  3.29
C  -0.51  -3.05  2.48
C  0.59  -3.84  2.14
C  1.05  -4.81  3.01
C  0.42  -5.01  4.23
C  -0.66  -4.21  4.59
C  -1.11  -3.22  3.73
H  -2.59  -1.21  -2.28
H  -1.80  -2.63  -2.38
H  -4.47  -2.94  -2.25
H  -6.08  -3.92  -0.67
H  -5.53  -4.02  1.75
H  -3.39  -3.14  2.55
H  -3.49  -0.09  1.08
H  -4.20  1.88  2.38
H  -2.82  2.69  4.26
H  -0.72  1.53  4.84
H  0.01  -0.44  3.56
H  1.09  -3.70  1.19
H  1.91  -5.41  2.74
H  0.78  -5.77  4.91
H  -1.15  -4.35  5.54
H  -1.92  -2.57  4.04
O  0.05  1.39  0.41
S  -0.54  2.77  0.09
C  -0.64  3.64  1.65
C  -1.68  4.55  1.80
C  -1.72  5.33  2.94
C  -0.74  5.20  3.92
C  0.27  4.26  3.77
C  0.33  3.47  2.63
C  0.83  3.70  -0.61
C  0.56  4.70  -1.53
C  1.60  5.48  -2.01
C  2.90  5.24  -1.58
C  3.17  4.22  -0.68
C  2.13  3.43  -0.20
H  -2.44  4.66  1.03
H  -2.53  6.05  3.08
H  -0.77  5.82  4.80
H  1.03  4.15  4.53
H  1.10  2.72  2.51
H  -0.46  4.89  -1.84
H  1.40  6.27  -2.72
H  3.70  5.87  -1.94
H  4.18  4.05  -0.34
H  2.32  2.63  0.50

## Properties
**2S+1**: 1
**Largest force on an atom**: 1.107 eV/Å
**Total charge**: +3
**Orbital gap**: 8.2 eV


[2]
# C48H44BrF3N8O18P

A 8-piece molecular cluster, C48H44BrF3N8O18P overall (ωB97M-V with the def2-TZVPD basis set, the OMol25 dataset).

Positions of all 123 atoms, in Å:
O  4.61  -0.22  -1.37
C  4.70  0.48  -2.51
O  6.07  0.90  -2.92
C  3.48  0.87  -3.52
N  2.54  1.97  -2.98
C  3.33  3.26  -2.96
C  2.46  4.61  -2.64
O  2.90  5.63  -3.65
C  4.23  6.15  -3.25
C  5.45  5.74  -4.26
F  4.99  5.08  -5.52
F  6.34  4.80  -3.51
F  6.28  6.92  -4.70
P  1.21  2.00  -4.20
O  1.48  3.26  -5.39
Br  -0.76  2.42  -3.06
H  2.89  -0.14  -3.75
H  3.96  1.19  -4.56
'''
End of the data records:

"He's really a good man. Next time I see him, I'll invite him to see if he wants to be the new crew of dawn." Rosen said thoughtfully.

"Are you going to recruit them?" Robin was surprised.

"No? I think his strength is good, and it's very pleasing. " Rosen said truthfully that he was short of talent.

Even if urki can only grow up to bring down 600 million Pele's pirates, it's a good strength. According to the original plot, the supernova will definitely be more active in the later stage, that is to say, the potential will be extraordinary, and it should only be stronger.

But urki doesn't look like a man with strong ambition. Not everyone who goes out to sea is to become a pirate king. Even if it is, it doesn't hurt.

"That's not true. It's just that there are few pirates who can get into the boss's eyes." Robin shook his head.

"Tell everyone, keep vigilant, arrange more duty personnel, timely inform when there is news, keep in touch with phone bug every other time, and rest others first." Asked Rosen.

They have experienced the storm, many people are very tired, rest is necessary.

After all, not everyone has Rosen's strong physique and physical strength.

So they went back to their resting place, and the night was quiet except for the storm.

The next day, when the storm subsided and the bright sun lit up the island again, Robin stayed up all night.

As soon as Rosen wakes up, Robin is already waiting in front of the tent: "boss, there is another mystery in this picture. The top four corners of the picture record several numbers with special hiding techniques. If I guess correctly, the numbers together should represent the longitude and latitude of the treasure hiding place, that is, the precise treasure hiding place."